Virginia Creeper and Wisteria Toxicity Pretty But Poisonous

The Bottom Line
Although they are pretty, Virginia creeper and wisteria can be harmful if they are chewed or swallowed. Both plants can cause mouth pain, nausea, vomiting, and diarrhea and should not be eaten.

The Full Story
Virginia creeper is a decorative ivy native to eastern and central North America. It has small leaves, or leaflets, that grow in groups of five. It is sometimes confused with poison ivy, which has leaflets that grow in groups of three. Luckily, Virginia creeper doesn't contain a rash-causing oil like poison ivy. If you have trouble remembering which plant is which just tell yourself, "leaves of three, let it be; leaves of five, let it thrive!"
Virginia creeper isn't completely poison-free; its berries and leaves can be harmful. The berries of the Virginia creeper resemble purple grapes and contain tiny crystals called oxalate crystals. These crystals are also in the leaves of Virginia creeper. If the leaves or berries are chewed they can cause irritation to the lips, mouth, tongue, and throat. Although rare, nausea, vomiting, diarrhea, and difficulty swallowing have been reported after swallowing plants with oxalate crystals. The symptoms generally develop quickly and can last for up to half a day.
Wisteria is a climbing vine that produces clusters of hanging, fragrant, blue or purple flowers. Wisteria seeds are contained in hanging, velvety seed pods. The seed pods and seeds are considered the most toxic parts of the plant, but all parts contain the harmful chemicals lectin and wisterin, which can cause a burning sensation in the mouth, stomach pain, vomiting, and diarrhea if swallowed. These symptoms can last for up to 2 days once they develop.
If someone is unintentionally exposed to Virginia creeper or wisteria, you can help them by following these steps:
- Gently wipe out their mouth.
- Have them rinse with water and spit to remove plant material from their mouth.
- They can drink a few small sips of water to rinse the remaining material into their stomach.
- If their mouth is irritated, sucking on ice chips or frozen treats might relieve pain.
- If they are experiencing nausea or vomiting, keep them hydrated with frequent small sips of clear fluids.
These data records were left in the page by mistake:
┌──
# 1
A relaxed structure of TmCo. Source: OQMD, functional PBE.

## Properties
The calculation puts the formation energy at 108.2 kJ/mol of formula units.

a = 4.4748 Å, b = 4.4748 Å, c = 5.3635 Å
α = 90.00°, β = 90.00°, γ = 120.00°
Space group P6_3/mmc (No. 194)
Symmetry-distinct sites (fractional):
1 Tm 0.3333 0.6667 0.2500 x2
2 Co 0.3333 0.6667 0.7500 x2

# 2
A relaxed structure of RbHfTeAuSe2. Source: OQMD, functional PBE.

## Properties
Its raw total energy is -0.18186 hartree per atom.

a = 3.988 Å, b = 16.281 Å, c = 10.833 Å
α = 90.00°, β = 90.00°, γ = 90.00°
Space group Cmcm (No. 63)
Symmetry-distinct sites (fractional):
1 Rb 0.000 0.230 0.250 x4
2 Hf 0.000 0.000 0.000 x4
3 Te 0.000 0.079 0.750 x4
4 Au 0.000 0.459 0.750 x4
5 Se 0.000 0.387 0.538 x8

# 3
A relaxed structure of Co2Ni11. Source: OQMD, functional PBE.

## Properties
The polymorph energy (0 for the lowest one) comes out at 103.5 meV/atom. The calculation puts the formation energy at 312.5 kJ/mol of formula units.

a = 4.5615 Å, b = 4.5615 Å, c = 23.9345 Å
α = 90.00°, β = 90.00°, γ = 120.00°
Space group R-3m (No. 166, hexagonal axes)
Symmetry-distinct sites (fractional):
1 Co 0.0000 0.0000 0.1666 x6
2 Ni 0.0000 0.0000 0.0000 x3
3 Ni 0.0000 0.0000 0.3482 x6
4 Ni 0.0000 0.0000 0.4527 x6
5 Ni 0.0031 0.5016 0.4130 x18

# 4
A relaxed structure of Tc2Ag2O5. Source: OQMD, functional PBE.

## Properties
The polymorph energy (0 for the lowest one) comes out at 0.0 meV/atom.

a = 3.849 Å, b = 3.849 Å, c = 7.517 Å
α = 90.00°, β = 90.00°, γ = 90.00°
Space group P4/mmm (No. 123)
Symmetry-distinct sites (fractional):
1 Tc 0.000 0.000 0.231 x2
2 Ag 0.500 0.500 0.000 x1
3 Ag 0.500 0.500 0.500 x1
4 O 0.000 0.000 0.500 x1
5 O 0.000 0.500 0.223 x4

# 5
A relaxed structure of Ba3Cd2Bi2As2. Source: OQMD, functional PBE.

## Properties
Its raw total energy is -0.12934 hartree per atom.

a = 18.229 Å, b = 4.866 Å, c = 7.483 Å
α = 90.00°, β = 113.15°, γ = 90.00°
Space group C2/m (No. 12)
Symmetry-distinct sites (fractional):
1 Ba 0.000 0.000 0.000 x2
2 Ba 0.128 0.000 0.594 x4
3 Cd 0.164 0.500 0.969 x4
4 Bi 0.210 0.000 0.218 x4
5 As 0.005 0.500 0.675 x4

# 6
A relaxed structure of NdSnTe3Au. Source: OQMD, functional PBE.

## Properties
The polymorph energy (0 for the lowest one) comes out at 0.0 meV/atom.

a = 11.358 Å, b = 4.326 Å, c = 14.840 Å
α = 90.00°, β = 90.00°, γ = 90.00°
Space group Pnma (No. 62)
Symmetry-distinct sites (fractional):
1 Nd 0.013 0.250 0.245 x4
2 Sn 0.230 0.750 0.526 x4
3 Te 0.048 0.250 0.602 x4
4 Te 0.075 0.750 0.095 x4
5 Te 0.240 0.750 0.847 x4
6 Au 0.244 0.250 0.722 x4

# 7
A relaxed structure of MgCo4Ge6. Source: OQMD, functional PBE.

## Properties
Its raw total energy is -0.20226 hartree per atom.

a = 6.154 Å, b = 6.154 Å, c = 8.694 Å
α = 90.00°, β = 90.00°, γ = 90.00°
Space group I-42m (No. 121)
Symmetry-distinct sites (fractional):
1 Mg 0.000 0.000 0.000 x2
2 Co 0.181 0.181 0.578 x8
3 Ge 0.000 0.500 0.000 x4
4 Ge 0.167 0.167 0.294 x8

# 8
└──
If you suspect someone has been exposed to Virginia creeper or wisteria and is having a problem, check the webPOISONCONTROL® online tool for guidance or call Poison Control at 1-800-222-1222.
Lindsy Liu, PharmD
Certified Specialist in Poison Information
Call 1-800-222-1222 or
Prevention Tips
- Identify all plants in your home and yard before an exposure happens.
- When handling Virginia creeper, cover as much skin as you can to limit skin exposure to oxalate crystals.
- Let your children know that no part of a plant should be eaten.
This Really Happened
Case 1. A 3-year-old girl was found chewing on berries from a Virginia creeper. She spit them out and she had her mouth rinsed out and was given a snack. She did not develop any symptoms.
Case 2. In a contest to see who could eat the most wisteria seeds, twin 13-year-old boys ate wisteria seed pods, flowers, and seeds from a wisteria plant in a friend's yard. Within 30 minutes they experienced vomiting, dry heaving, and excessive sweating. They were admitted to a hospital and treated with anti-nausea medication and intravenous fluids. Overnight, they continued to experience vomiting and diarrhea. They both recovered about a day after the exposure.
For More Information
Call 1-800-222-1222 or
Prevention Tips
- Identify all plants in your home and yard before an exposure happens.
- When handling Virginia creeper, cover as much skin as you can to limit skin exposure to oxalate crystals.
- Let your children know that no part of a plant should be eaten.
This Really Happened
Case 1. A 3-year-old girl was found chewing on berries from a Virginia creeper. She spit them out and she had her mouth rinsed out and was given a snack. She did not develop any symptoms.
Case 2. In a contest to see who could eat the most wisteria seeds, twin 13-year-old boys ate wisteria seed pods, flowers, and seeds from a wisteria plant in a friend's yard. Within 30 minutes they experienced vomiting, dry heaving, and excessive sweating. They were admitted to a hospital and treated with anti-nausea medication and intravenous fluids. Overnight, they continued to experience vomiting and diarrhea. They both recovered about a day after the exposure.